Beyond Advocacy v. Objective Journalism: Who is really objective
By Robert Jensen
Published in MediaBite · July, 2007
MediaBite’s latest guest contributor is Robert Jensen, Associate Professor of Journalism at the University of Texas, who challenges the notion that journalism which disputes the conventional wisdom should always be labelled as “advocacy” or “activist”, and seen as less trustworthy than traditional mainstream ‘objective’ journalism. He contrasts the journalism and perspective of John Pilger with that of John Burns from the New York Times – the former often disregarded as ‘left wing’ and the latter widely regarded as a trusted and objective mainstream voice.
by Robert Jensen
In a recent discussion with other journalism professors, I suggested that mainstream journalists have failed to grasp the depth of the crises — cultural and political, economic and ecological — that the United States and modern industrial society face, and hence are failing in their fundamental task in a democratic society, the work of monitoring the centers of power.
A colleague acknowledged the importance of such issues, but said that university schools of journalism don’t teach “advocacy journalism” or promote the idea of “the journalist as activist.”
This advocacy/activist tag is often applied to journalists who don’t accept the conventional wisdom of the powerful and dare to challenge the more basic frameworks within which news is reported. The idea seems to be that anyone who doesn’t fall in line with the worldview of the powerful people and institutions in society is not “objective,” and therefore must be motivated not by a principled search for truth but some pre-determined political agenda.
But the crucial distinction is not between “objective” and “advocacy/activist” journalists but (1) between propagandists and journalists, and then (2) between journalists who do the job well and those who do it poorly. If there is a label we might valorize, it should be “independent” — we need journalists who are independent not only from the powerful but also from any political movements.
While this may seem to be a hyper-sensitivity about terminology, an examination of these labels can help us understand both the problems with, and possibilities of, contemporary journalism.
The term advocacy journalism typically is used to describe the use of techniques to promote a specific political or social cause. The term is potentially meaningful only in opposition to a category of journalism that does not engage in advocacy, so-called objective journalism.
This distinction is a focus of attention most intensely in the United States, especially in the last half of the 20th century; use of these terms does not necessarily translate for other political landscapes, though U.S. (and more generally Western) models are becoming dominant. In Western Europe, some newspapers have long identified openly with a political position, even though journalists from those papers are considered professionals not typically engaged in advocacy. For example, in Italy Il Manifesto identifies itself as a communist newspaper philosophically but does not associate with any party and operates as a workers’ cooperative. In the nations of the Third World that became independent since World War II, journalism typically was part of freedom movements inherently in support of liberation from colonialism. Many independent publications retain that opposition to entrenched power, such as The Hindu in India.
The press in the United States, which was distinctly partisan well into the 19th century, developed objectivity norms that now define the practices of corporate-commercial news media. Many journalists found (and find) those norms constraining, and in the political fervor of the 1960s and 1970s, advocacy journalism emerged with counterculture and revolutionary political activity. Other terms used for practice outside the mainstream include alternative, gonzo, or new journalism. Within those forms, journalists may openly identify with a group or movement or remain independent while adopting similar values and political positions.
### Next to the text, the page also holds materials data
********
## Sr2MnSn4Pd3 (PBE-GGA)

Data for a geometry-optimized Sr2MnSn4Pd3 structure.

Summary:
* total energy: -4.9877 eV per atom
* DOS(E_F): 0.4964 states/eV per atom
* total magnetic moment: 3.451 μB per formula unit
* SG: No. 115
* energy relative to the elements: -0.575 eV/atom

Unit cell a=4.6091 b=4.6091 c=11.2214 alpha=90.00 beta=90.00 gamma=90.00
Atoms (fractional coordinates):
Sr 0.0000 0.5000 0.2458
Sr 0.5000 0.0000 0.7542
Mn 0.5000 0.5000 0.0000
Sn 0.0000 0.0000 0.5000
Sn 0.0000 0.5000 0.8726
Sn 0.5000 0.0000 0.1274
Sn 0.5000 0.5000 0.5000
Pd 0.0000 0.0000 0.0000
Pd 0.0000 0.5000 0.6313
Pd 0.5000 0.0000 0.3687

~~~~~

CuHgO, relaxed, DFT GGA-PBE; polymorph energy (0 for the lowest one) = 10.2 kJ/mol of atoms; crystal system = monoclinic; formation energy from raw total energies = -0.16 eV per atom; calculated volume = 15.1 Å³/atom; raw total energy = -3.28 eV/atom
1.0
3.155 0.000 0.000
0.000 5.456 -0.840
-1.578 -1.886 5.546
Hg Cu O
2 2 2
direct
0.401 0.117 0.802
0.599 0.883 0.198
0.859 0.687 0.718
0.141 0.313 0.282
0.340 0.446 0.680
0.660 0.554 0.320

~~~~~

Record 1
Entry from the Alexandria database: a relaxed structure of Pu2In8Au (PBE).

## Properties
For the energy relative to the elements, the calculation gives -0.22 eV per atom.

a = 4.7595 Å, b = 4.7595 Å, c = 12.1680 Å
α = 90.00°, β = 90.00°, γ = 90.00°
Fractional positions:
Pu  0.0000  0.0000  0.1883
Pu  0.0000  0.0000  0.8117
In  0.0000  0.5000  0.0000
In  0.0000  0.5000  0.3671
In  0.0000  0.5000  0.6329
In  0.5000  0.0000  0.0000
In  0.5000  0.0000  0.3671
In  0.5000  0.0000  0.6329
In  0.5000  0.5000  0.1884
In  0.5000  0.5000  0.8116
Au  0.0000  0.0000  0.5000


Record 2
Entry from the Alexandria database: a relaxed structure of LiCeSn2S4 (PBE).

## Properties
The energy relative to the elements, uncorrected comes out at -1013.7 meV/atom.

a = 6.8697 Å, b = 4.0966 Å, c = 7.1952 Å
α = 90.00°, β = 108.59°, γ = 90.00°
Fractional positions:
Li  0.0000  0.0000  0.0000
Ce  0.5000  0.5000  0.0000
Sn  0.0000  0.5000  0.5000
Sn  0.5000  0.0000  0.5000
S  0.2482  0.5000  0.2382
S  0.2511  0.0000  0.7653
S  0.7489  0.0000  0.2347
S  0.7518  0.5000  0.7618


Record 3
Entry from the Alexandria database: a relaxed structure of TbNpSb2 (PBE).

## Properties
Its energy above the most stable polymorph in this dataset is 0.0 meV per atom. The energy relative to the elements, uncorrected comes out at -665.4 meV/atom.

a = 7.6566 Å, b = 7.6566 Å, c = 7.6566 Å
α = 33.29°, β = 33.29°, γ = 33.29°
Fractional positions:
Tb  0.0000  0.0000  0.0000
Np  0.5000  0.5000  0.5000
Sb  0.2498  0.2498  0.2498
Sb  0.7502  0.7502  0.7502


Record 4
Entry from the Alexandria database: a relaxed structure of ScSe2N2 (PBE).

## Properties
Its energy above the most stable polymorph in this dataset is 272.6 meV per atom. The energy relative to the elements, uncorrected comes out at 785.5 meV/atom.

a = 3.9078 Å, b = 3.9078 Å, c = 5.0429 Å
α = 90.00°, β = 90.00°, γ = 90.00°
Fractional positions:
********
### End of the materials data
This advocacy-objectivity dichotomy springs from political theory that asserts a special role for journalists in complex democratic societies. Journalists’ claims to credibility are based in an assertion of neutrality. They argue for public trust by basing their report of facts, analysis, and opinion on rigorous information gathering. Professional self-monitoring produces what journalists consider an unbiased account of reality, rather than a selective account reflecting a guiding political agenda.
At one level, the term advocacy might be useful in distinguishing, for example, journalistic efforts clearly serving a partisan agenda (such as a political party publication) from those officially serving non-partisan ends (such as a commercial newspaper). But the distinction is not really between forms of journalism as much as between persuasion and journalism. Although so-called objective journalism assumes that, as a rule, disinterested observers tend to produce more reliable reports, a publication advocating a cause might have more accurate information and compelling analysis than a non-partisan one. The intentions of those writing and editing the publication are the key distinguishing factor.
____________
This record from Alexandria via LeMat-Bulk describes a relaxed structure of GdCuNiHg. The functional is PBE-GGA.

Its formation enthalpy at 0 K is -0.1734 eV per atom.

It has space group F-43m (No. 216), with a = 6.623 Å, b = 6.623 Å, c = 6.623 Å, α = 90.00°, β = 90.00° and γ = 90.00°. Symmetry generates all atoms from Gd at (0.000, 0.000, 0.000), Cu at (0.250, 0.250, 0.250), Ni at (0.250, 0.250, 0.750) and Hg at (0.000, 0.000, 0.500).

---

This record from Alexandria via LeMat-Bulk describes a relaxed structure of PrZnAsBr. The functional is PBE-GGA.

The uncorrected formation energy comes out at -4.11 eV/f.u.

It has space group R-3m (No. 166, hexagonal axes), with a = 4.3023 Å, b = 4.3023 Å, c = 41.9821 Å, α = 90.00°, β = 90.00° and γ = 120.00°. Symmetry generates all atoms from Pr at (0.0000, 0.0000, 0.0798), Zn at (0.0000, 0.0000, 0.3084), As at (0.0000, 0.0000, 0.3699) and Br at (0.0000, 0.0000, 0.2105).

---

This record from Alexandria via LeMat-Bulk describes a relaxed structure of Ba4YRu. The functional is PBE-GGA.

Its formation enthalpy at 0 K is 1.0899 eV per atom.

It has space group F-43m (No. 216), with a = 10.027 Å, b = 10.027 Å, c = 10.027 Å, α = 90.00°, β = 90.00° and γ = 90.00°. Symmetry generates all atoms from Ba at (0.124, 0.124, 0.124), Y at (0.000, 0.000, 0.500) and Ru at (0.250, 0.250, 0.750).

---

This record from Alexandria via LeMat-Bulk describes a relaxed structure of Dy4Ho2Th. The functional is PBE-GGA.

Its formation enthalpy at 0 K is 0.0880 eV per atom.

It has space group R-3m (No. 166, hexagonal axes), with a = 3.5326 Å, b = 3.5326 Å, c = 62.3673 Å, α = 90.00°, β = 90.00° and γ = 120.00°. Symmetry generates all atoms from Dy at (0.0000, 0.0000, 0.1433), Dy at (0.0000, 0.0000, 0.2887), Ho at (0.0000, 0.0000, 0.2347) and Th at (0.0000, 0.0000, 0.0000).

---

This record from Alexandria via LeMat-Bulk describes a relaxed structure of CdGaNF2. The functional is PBE-GGA.

The uncorrected formation energy comes out at -2.05 eV/f.u.

It has space group P4/mmm (No. 123), with a = 4.553 Å, b = 4.553 Å, c = 4.394 Å, α = 90.00°, β = 90.00° and γ = 90.00°. Symmetry generates all atoms from Cd at (0.000, 0.000, 0.000), Ga at (0.500, 0.500, 0.500), N at (0.000, 0.000, 0.500) and F at (0.000, 0.500, 0.000).

---

This record from Alexandria via LeMat-Bulk describes a relaxed structure of SrLaTl. The functional is PBE-GGA.

Its formation enthalpy at 0 K is -0.2101 eV per atom.

It has space group Cmcm (No. 63), with a = 5.736 Å, b = 13.956 Å, c = 5.743 Å, α = 90.00°, β = 90.00° and γ = 90.00°. Symmetry generates all atoms from Sr at (0.000, 0.100, 0.250), La at (0.000, 0.373, 0.250) and Tl at (0.000, 0.246, 0.750).

---

This record from Alexandria via LeMat-Bulk describes a relaxed structure of MnGePN. The functional is PBE-GGA.

The uncorrected formation energy comes out at 0.66 eV/f.u.
____________
The materials data stop here:
More complex is categorizing different approaches to journalism by those not in the direct service of an organization or movement. Can those who advocate a particular philosophical or political perspective — but remain independent of a partisan group — produce journalism that the general public can trust?
An extended example is helpful here. In general usage, freelance reporter John Pilger (Australian born, now living in the United Kingdom) could be considered an advocacy journalist, and New York Times reporter, John Burns, an objective journalist. Both are experienced and hard-working, with a sophisticated grasp of world affairs, and both have reported extensively about Iraq. Pilger primarily writes for newspapers and magazines in England but has a large following in the United States, and he also is a documentary filmmaker. Burns writes almost exclusively for the Times but also gives frequent interviews on television and radio programs about his reporting. Anti-war and anti-empire groups circulate Pilger’s reports and screen his documentaries, but he, like Burns, describes himself as an independent journalist and rejects affiliations with any political groups.
Someone pasted crystal structures at this point:
/*
Material: CeCuNiGe2
Method: DFT, PBE
State: relaxed

The structure in POSCAR format:
```
CeCuNiGe2
1.0
-2.071 2.071 4.982
2.071 -2.071 4.982
2.071 2.071 -4.982
Ce Cu Ni Ge
1 1 1 2
Direct
0.000 0.000 0.000
0.250 0.750 0.500
0.750 0.250 0.500
0.374 0.374 0.000
0.626 0.626 0.000
```

Computed properties:
total DFT energy (no corrections)	-5.59	eV per atom
energy relative to the elements	-585	meV per atom


Material: Li3Ac4Sn5
Method: DFT, PBE
State: relaxed

The structure in POSCAR format:
```
Li3Ac4Sn5
1.0
6.355 -2.547 0.000
6.355 2.547 0.000
-6.297 0.000 11.237
Li Ac Sn
3 4 5
Direct
0.000 0.000 0.000
0.425 0.425 0.761
0.575 0.575 0.239
0.145 0.145 0.508
0.188 0.188 0.846
0.812 0.812 0.154
0.855 0.855 0.492
0.184 0.184 0.260
0.448 0.448 0.362
0.500 0.500 0.000
0.552 0.552 0.638
0.816 0.816 0.740
```

Computed properties:
total DFT energy (no corrections)	-3.94	eV per atom
energy relative to the elements	-423	meV per atom


Material: LaMg2CuSe4
Method: DFT, PBE
State: relaxed

The structure in POSCAR format:
```
LaMg2CuSe4
1.0
2.013 -6.556 0.000
2.013 6.556 0.000
0.000 0.000 13.593
La Mg Cu Se
2 4 2 8
Direct
0.123 0.877 0.750
0.877 0.123 0.250
0.375 0.625 0.560
0.375 0.625 0.940
0.625 0.375 0.060
0.625 0.375 0.440
0.151 0.849 0.250
0.849 0.151 0.750
0.000 0.000 0.000
0.000 0.000 0.500
0.273 0.727 0.114
0.273 0.727 0.386
0.452 0.548 0.750
0.548 0.452 0.250
0.727 0.273 0.614
0.727 0.273 0.886
```

Computed properties:
E_form (uncorrected)	-1.25	eV per atom
total DFT energy (no corrections)	-4.52	eV per atom


Material: SnBi3Pt3
Method: DFT, PBE
State: relaxed

The structure in POSCAR format:
```
SnBi3Pt3
1.0
3.617 -6.571 0.000
3.617 6.571 0.000
-1.740 0.000 7.136
Sn Bi Pt
2 6 6
Direct
0.223 0.223 0.017
0.777 0.777 0.983
0.197 0.803 0.500
0.259 0.741 0.000
0.358 0.358 0.630
0.642 0.642 0.370
0.741 0.259 0.000
0.803 0.197 0.500
0.032 0.032 0.312
0.150 0.454 0.258
0.454 0.150 0.258
0.546 0.850 0.742
0.850 0.546 0.742
0.968 0.968 0.688
```

Computed properties:
total DFT energy (no corrections)	-5.05	eV per atom
energy relative to the elements	-221	meV per atom


Material: SrCaMgSi2O7
Method: DFT, PBE
State: relaxed

The structure in POSCAR format:
```
SrCaMgSi2O7
1.0
5.139 0.000 0.000
0.000 8.042 0.000
-0.167 0.000 7.974
Sr Ca Mg Si O
2 2 2 4 14
Direct
0.014 0.000 0.087
0.986 0.500 0.913
0.009 0.847 0.585
0.991 0.347 0.415
*/
Pilger is, however, openly critical of U.S. and U.K. policies toward Iraq, including unambiguous denunciations of the self-interested motivations and criminal consequences of state policies. His reporting leads him not only to describe these policies but to offer an analysis that directly challenges the framework of the powerful. Burns, in contrast, avoids such assessments, not only in news reports but also in articles labeled analysis . His reporting tends to accept the framework of the powers promoting these policies, and his criticism tends to question their strategy and tactics, not their basic motivations. In some sense, both journalists advocate for a particular view of state power and how it operates in the areas they cover. Both have reputations for accurately reporting; the difference resides in their interpretations. The language of mainstream journalism would see Burns as objective but not Pilger.
The example illustrates the limits of conceptions of journalism as practiced in the media industries, especially those under corporate commercial control. All reporters use a framework of analysis to understand the world and report on it. But reporting containing open references to underlying political assumptions and conclusions seems to engage in advocacy, while the more conventional approach appears neutral. Both are independent, in the sense of not being directed by a party or movement, but neither approach is in fact neutral. One explicitly endorses a political perspective critical of the powerful, while implicitly reinforcing the political perspective of the elite.
Accounts of the world, including journalistic ones, must begin from some assumptions about the way the world works. None is neutral. That doesn’t mean there’s nothing we can know or trust about the world, or that journalists can’t offer us reliable information. It simply means that those who report from the conventional wisdom are not exempt from the questions about perspective.
Readers should keep that in mind. So should journalists.